On October 15 and 16, 2021, the 4th International Conference on Multimedia Analysis and Pattern Recognition (MAPR 2021) took place successfully at USTH in a hybrid format with the participation of more than 60 researchers and students in the ICT field from Vietnam and others countries.
The International Conference on Multimedia Analysis and Pattern Recognition (MAPR) is an annual event held since 2018, bringing together researchers and practitioners from both academia and industry around the world as well as in Vietnam for sharing their latest research findings, experimental results and consolidating potential collaborations on pattern recognition, multimedia analysis, and related areas. It also provides a unique opportunity to PhD students and students to interact with renowned and experienced researchers in the field, to discuss with them their ongoing research and career plans.
In previous years, the conference was organized at the University of Information Technology, Vietnam National University-Ho Chi Minh City (for the 1st & 2nd MAPR) and at the Hanoi University of Science and Technology (for the 3rd one). This year, USTH is honored to be the host institution of the 4th Conference, taking place on October 15 and 16, 2021. Due to the Covid-19 pandemic, the conference was held in a hybrid format in which only a small group of participants were able to be present at the venue while the other researchers joined virtually via the Zoom platform.
Attending this event, there were Prof. Jean-Marc Lavest, Principal Rector of USTH; Assoc. Prof. Tran Dinh Phong, Co-Director of Research, Innovation and Technology Transfer of USTH; Assoc. Prof. Nguyen Duc Dung, Co-Director of ICT Department of USTH, Program Committee Co-chair. There were also representatives of co-organizers from Vietnamese Association on Pattern Recognition (VAPR), the University of Information Technology (VNU-HCM), Institute of Information Technology (VAST), International Research Institute MICA (Hanoi University of Science and Technology) and more than 60 Vietnamese and foreign researchers and students in the field of ICT.
Speaking at the opening of the conference, Prof. Jean-Marc Lavest, Principal Rector of USTH, expressed his delight that USTH had an honor of being the host institution of the MAPR 2021. He said that “The subject of pattern recognition has animated the scientific community for many years; the speed of the evolution of environments, whether in terms of content, or even of power and speed of calculation, pushes the scientific investigation research further every day.” He emphasized the spirit of the conference, which is based on “exchanges, better knowledge between stakeholders and building networks that tomorrow will allow us together to make ambitious responses to large calls for international projects”.
(These molecular data were left in the page by mistake)
Record 1
Entry from the Open Molecules 2025 dataset: C24H27ClN4O2S in the gas phase (ωB97M-V/def2-TZVPD).

The geometry in XYZ format:
```
59
C24H27ClN4O2S | the Open Molecules 2025 dataset | ωB97M-V/def2-TZVPD
C -3.36 -7.99 3.23
H -2.66 -8.82 3.17
H -4.34 -8.35 2.94
C -2.91 -6.86 2.31
C -1.53 -6.34 2.69
C -1.13 -5.17 1.79
N -2.08 -4.09 1.91
C -3.40 -4.54 1.48
C -3.88 -5.68 2.37
H -4.88 -5.99 2.04
H -3.95 -5.32 3.40
H -4.09 -3.70 1.56
H -3.38 -4.87 0.43
C -1.64 -2.90 1.21
H -0.59 -2.73 1.48
C -2.45 -1.66 1.62
N -1.76 -0.44 1.29
C -2.00 0.23 0.14
O -2.86 -0.10 -0.66
C -1.13 1.43 -0.08
C -0.79 1.73 -1.39
C 0.01 2.85 -1.66
C 0.44 3.66 -0.60
C 0.06 3.36 0.70
C -0.71 2.25 0.97
H -1.01 2.03 1.98
H 0.40 4.01 1.49
C 1.27 4.84 -0.88
O 1.67 5.60 -0.02
N 1.60 5.04 -2.22
C 1.17 4.25 -3.25
S 1.53 4.51 -4.83
N 0.38 3.18 -2.93
H 0.07 2.62 -3.71
C 2.46 6.18 -2.53
C 3.91 5.77 -2.56
C 4.59 5.65 -3.77
C 5.91 5.24 -3.79
C 6.56 4.95 -2.60
C 5.89 5.07 -1.39
C 4.57 5.48 -1.38
H 4.05 5.58 -0.44
H 6.41 4.85 -0.47
Cl 8.21 4.44 -2.62
H 6.44 5.15 -4.73
H 4.08 5.87 -4.70
H 2.15 6.59 -3.49
H 2.30 6.92 -1.74
H -1.14 1.11 -2.19
H -0.94 -0.21 1.83
H -3.40 -1.63 1.10
H -2.62 -1.70 2.70
H -1.69 -3.02 0.11
H -0.14 -4.80 2.09
H -1.05 -5.52 0.74
H -0.79 -7.14 2.60
H -1.54 -6.00 3.72
H -2.88 -7.23 1.28
H -3.40 -7.65 4.26
```

HOMO level, eV: -8.68
SMILES: CC1CCN(CCNC(=O)c2ccc3c(=O)n(Cc4ccc(Cl)cc4)c(=S)[nH]c3c2)CC1
ΔE to the lowest compared entry with this formula, charge and spin, kcal/mol: 1.8
Calculated total energy, Eh: -2158.72572
Charge: 0

=====

Record 2
Entry from the Open Molecules 2025 dataset: C24H27FN4O3 in the gas phase (ωB97M-V/def2-TZVPD).

The geometry in XYZ format:
```
59
C24H27FN4O3 | the Open Molecules 2025 dataset | ωB97M-V/def2-TZVPD
C 0.69 6.13 -6.99
C 0.51 5.02 -5.96
C 1.69 4.96 -4.99
C 1.52 3.85 -3.95
C 2.70 3.80 -2.99
N 2.53 2.75 -2.00
C 3.01 1.50 -2.34
O 3.57 1.26 -3.39
N 2.82 0.51 -1.40
C 2.21 0.70 -0.18
C 2.06 -0.35 0.73
C 1.43 -0.13 1.94
C 0.97 1.15 2.27
C 1.12 2.18 1.37
C 1.73 1.97 0.14
C 1.88 3.07 -0.82
O 1.47 4.20 -0.62
H 0.77 3.18 1.60
H 0.51 1.32 3.23
C 1.37 -1.25 2.93
O 2.39 -1.77 3.35
N 0.14 -1.60 3.37
C -1.11 -1.24 2.75
H -0.96 -0.45 2.01
C -1.73 -2.47 2.06
N -1.88 -3.52 3.04
C -2.90 -4.46 2.95
C -3.63 -4.73 1.79
C -4.69 -5.62 1.77
C -5.04 -6.30 2.92
C -4.32 -6.07 4.09
C -3.28 -5.16 4.10
H -2.76 -4.97 5.03
H -4.59 -6.59 5.00
H -5.85 -7.01 2.91
H -5.20 -5.79 0.84
F -3.31 -4.13 0.61
C -0.61 -3.90 3.63
H -0.75 -4.71 4.34
C 0.00 -2.68 4.32
H 1.00 -2.92 4.71
H -0.65 -2.35 5.14
H 0.09 -4.24 2.84
H -2.70 -2.19 1.66
H -1.08 -2.78 1.22
H -1.80 -0.89 3.52
H 2.45 -1.33 0.49
H 3.19 -0.40 -1.64
H 3.62 3.60 -3.54
H 2.78 4.75 -2.45
H 1.44 2.89 -4.46
H 0.60 4.02 -3.38
H 1.78 5.92 -4.47
H 2.61 4.79 -5.54
H -0.41 5.19 -5.40
H 0.42 4.06 -6.47
H 1.59 5.97 -7.57
H -0.16 6.16 -7.67
H 0.76 7.10 -6.49
```

HOMO level, eV: -8.22
SMILES: CCCCCn1c(=O)[nH]c2cc(C(=O)N3CCN(c4ccccc4F)CC3)ccc2c1=O
ΔE to the lowest compared entry with this formula, charge and spin, kcal/mol: 8.8

Presentation of the conference summary by Prof. Nguyen Duc Dung, Program Committee Co-chair
Regarding the presentation of Professor Antoine Doucet, he presented recent advances in AI and automatic language processing enabling the textual content of digitized documents to be analyzed in a way that is robust to digitization errors. He took an example with the H2020 NewsEye project in order to show how researchers were able to create state-of-the-art results for the cross-lingual recognition and disambiguation of named entities (names of people, places, and organizations) in large corpora of historical newspapers written in 4 languages, written between 1850 and 1950.

Presentation of Prof. Antoine Doucet
Besides, at the conference, the researchers of 24 accepted papers also made presentations on their study findings. Many questions were addressed to the presenters, providing an opportunity for open discussion among the participants on relevant topics.
After two days of sharing and discussion, the conference of MAPR 2021 ended with the award ceremony for the best paper and the best student paper.

Representatives of the Organizing Committee take souvenirs photo with participants via Zoom